[Job]
Next, filter the calculation results further below: keep the lines with the word "C48H33F3N3O6SSb2Se4Y".
[File]
/*
(1)
Density functional theory data (wB97M-V/def2-TZVPD) for C48H33F3N3O6SSb2Se4Y as an isolated structure.

**HOMO**: -2.63 eV
**LUMO**: 3.7 eV
**Energy**: -13287.3768 Eh
**Charge**: -2
**Energy above the lowest of the compared OMol25 structures with the same formula, charge and spin**: 0.503 eV
**HOMO-LUMO gap**: 6.3 eV

```
101
C48H33F3N3O6SSb2Se4Y wB97M-V/def2-TZVPD
Y -0.965 -0.638 -0.307
O -4.808 -3.124 -0.761
C -3.996 -4.188 -0.616
C -4.541 -5.348 -0.062
C -3.764 -6.474 0.094
C -2.428 -6.481 -0.305
C -1.880 -5.334 -0.837
C -2.645 -4.175 -1.000
C -2.020 -2.940 -1.525
O -2.714 -1.845 -1.579
N -0.738 -2.964 -1.837
N -0.334 -1.685 -2.285
C -0.560 -1.390 -3.499
C -0.460 -0.034 -4.036
C -0.148 0.140 -5.386
C -0.173 1.380 -5.992
C -0.575 2.482 -5.230
C -0.918 2.340 -3.905
C -0.863 1.083 -3.241
O -1.186 1.007 -1.996
H -4.222 -2.375 -1.022
H -5.563 -5.311 0.290
H -4.190 -7.348 0.572
H -1.813 -7.357 -0.147
H -0.836 -5.291 -1.115
H -0.930 -2.172 -4.168
H 0.128 -0.737 -5.963
H 0.094 1.492 -7.035
H -0.625 3.465 -5.688
H -1.235 3.189 -3.311
S -2.408 2.559 3.131
C -1.683 1.539 4.300
C -1.721 0.238 3.935
C -2.353 0.023 2.668
C -2.785 1.205 2.116
C -3.536 1.409 0.879
C -4.584 2.335 0.830
C -5.309 2.471 -0.333
C -4.983 1.671 -1.419
C -3.926 0.793 -1.298
N -3.198 0.666 -0.183
H -1.249 1.963 5.192
H -1.331 -0.573 4.534
H -4.824 2.900 1.721
H -6.131 3.175 -0.388
H -5.527 1.722 -2.352
H -3.627 0.164 -2.124
O 0.622 -3.433 2.701
C 0.976 -2.441 3.529
C 1.089 -2.648 4.908
C 1.478 -1.618 5.740
C 1.751 -0.350 5.229
C 1.575 -0.122 3.879
C 1.196 -1.152 3.019
C 0.836 -0.821 1.624
O 0.903 -1.655 0.686
O 0.349 0.348 1.384
H 0.004 -4.062 3.137
H 0.831 -3.621 5.307
H 1.547 -1.798 6.806
H 2.048 0.456 5.889
H 1.690 0.869 3.459
Se -2.806 -2.418 6.134
Sb -3.134 -3.754 4.182
Se -1.453 -5.374 3.662
Se -5.350 -4.238 3.442
Se -2.495 -1.705 1.902
F 5.751 2.643 -5.788
C 4.945 2.300 -4.750
C 5.521 2.005 -3.532
C 4.688 1.654 -2.476
C 3.304 1.597 -2.632
C 2.769 1.890 -3.886
C 3.582 2.250 -4.954
Sb 1.960 1.026 -1.045
C 1.567 3.048 -0.450
C 2.403 4.100 -0.816
C 2.131 5.405 -0.426
C 1.005 5.636 0.337
F 0.733 6.910 0.721
C 0.151 4.626 0.725
C 0.440 3.328 0.323
C 3.469 0.616 0.412
C 3.830 1.539 1.390
C 4.730 1.205 2.395
C 5.253 -0.070 2.407
F 6.132 -0.405 3.382
C 4.910 -1.021 1.468
C 4.008 -0.668 0.474
H 6.597 2.051 -3.420
H 5.131 1.423 -1.514
H 1.699 1.836 -4.051
H 3.166 2.474 -5.927
H 3.281 3.908 -1.422
H 2.771 6.232 -0.704
H -0.716 4.845 1.335
H -0.214 2.530 0.647
H 3.400 2.533 1.380
H 5.008 1.907 3.169
H 5.320 -2.020 1.537
H 3.700 -1.422 -0.242
```

=====

(2)
Density functional theory data (wB97M-V/def2-TZVPD) for C48H35IIrN5O4P2Se2 as an isolated structure.

**HOMO**: -7.04 eV
**LUMO**: -0.2 eV
**Energy**: -8312.5603 Eh
**Charge**: 0
**Energy above the lowest of the compared OMol25 structures with the same formula, charge and spin**: 3.096 eV
**HOMO-LUMO gap**: 6.9 eV

```
98
C48H35IIrN5O4P2Se2 wB97M-V/def2-TZVPD
Ir 1.309 -1.553 0.395
O 0.231 2.110 1.765
C 0.721 1.003 1.658
O 1.298 0.535 0.590
C 0.764 0.044 2.803
C 0.886 0.452 4.116
C 1.259 -0.497 5.057
C 1.468 -1.813 4.684
C 1.984 -2.831 5.547
C 2.450 -3.979 5.018
C 2.474 -4.160 3.550
C 1.388 -3.500 2.912
C 1.179 -2.203 3.333
N 0.848 -1.224 2.428
H 0.748 1.495 4.358
H 1.447 -0.197 6.082
H 2.016 -2.650 6.616
H 2.885 -4.752 5.639
H 2.615 -5.189 3.242
H 1.011 -3.846 1.971
Se -4.378 1.192 -2.536
P -3.085 1.914 -1.024
C -3.934 2.584 0.426
C -3.185 2.945 1.547
C -3.799 3.634 2.578
C -5.142 3.980 2.487
C -5.884 3.612 1.374
C -5.279 2.908 0.340
C -2.045 3.308 -1.534
C -0.712 3.421 -1.154
C -0.004 4.567 -1.496
C -0.625 5.591 -2.194
C -1.963 5.481 -2.558
C -2.673 4.338 -2.232
C -2.002 0.618 -0.411
C -0.952 -0.093 -0.944
N -0.655 -1.063 -0.036
N -1.488 -0.937 1.004
N -2.304 0.045 0.787
P -0.129 -0.279 -2.500
Se 1.802 -1.169 -2.170
C 0.001 1.227 -3.475
C 1.226 1.886 -3.555
C 1.350 3.008 -4.357
C 0.257 3.471 -5.076
C -0.963 2.812 -4.996
C -1.095 1.683 -4.205
C -1.227 -1.358 -3.455
C -2.285 -2.022 -2.842
C -3.134 -2.816 -3.600
*/
[Here it is]
Density functional theory data (wB97M-V/def2-TZVPD) for C48H33F3N3O6SSb2Se4Y as an isolated structure.
C48H33F3N3O6SSb2Se4Y wB97M-V/def2-TZVPD